-- begin --
# PuIn4Hg7 | Alexandria | PBE-GGA | optimized geometry
data_PuIn4Hg7
_chemical_formula_sum 'Pu2 In8 Hg14'
_symmetry_space_group_name_H-M 'C 1 2/m 1'
_symmetry_Int_Tables_number 12
_cell_length_a 12.917
_cell_length_b 6.169
_cell_length_c 9.509
_cell_angle_alpha 90.00
_cell_angle_beta 119.95
_cell_angle_gamma 90.00
loop_
_symmetry_equiv_pos_as_xyz
'x,y,z'
'-x,-y,-z'
'-x,y,-z'
'x,-y,z'
'x+1/2,y+1/2,z'
'-x+1/2,-y+1/2,-z'
'-x+1/2,y+1/2,-z'
'x+1/2,-y+1/2,z'
loop_
_atom_site_label
_atom_site_fract_x
_atom_site_fract_y
_atom_site_fract_z
Pu1 0.000 0.000 0.000
In1 0.003 0.500 0.333
In2 0.247 0.000 0.670
Hg1 0.000 0.500 0.000
Hg2 0.001 0.000 0.338
Hg3 0.245 0.500 0.660
Hg4 0.248 0.500 0.995
# magnetic moment = 0.526 μB/atom
# calculated total energy = -0.083 Ha/atom
# formation enthalpy at 0 K = 20 meV/atom
# energy above the lowest structure with this stoichiometry = 47.9 meV per atom


# 1
The following is a GGA-PBE calculation of a relaxed structure of Pm2Zn2Cd, from the Alexandria database.

Unit cell a=3.702 b=4.535 c=7.565 alpha=107.44 beta=90.00 gamma=90.00
Site moments in Bohr magnetons follow the coordinates.
Fractional positions:
Pm 0.500 0.627 0.253  0.17
Pm 0.500 0.373 0.747  0.17
Zn 0.000 0.202 0.403  0.03
Zn 0.000 0.798 0.597  0.03
Cd 0.000 0.000 0.000  0.01

For the formation energy, the calculation gives -0.322 eV per atom. The density of states at the Fermi level comes out at 5.9 states/eV/cell. As for the energy above the lowest structure with this stoichiometry: 0 meV/atom. The calculation puts the total magnetization at 0.82 μB per formula unit. As for the symmetry: Cmmm. As for the energy: -2.915 eV/atom.

---

# 2
The following is a GGA-PBE calculation of a relaxed structure of Pm2Zn3Cd6, from the Alexandria database.

Unit cell a=4.457 b=8.100 c=8.100 alpha=120.00 beta=90.00 gamma=90.00
Fractional positions:
Pm 0.000 0.667 0.333
Pm 0.000 0.333 0.667
Zn 0.500 0.390 0.390
Zn 0.500 0.610 0.000
Zn 0.500 0.000 0.610
Cd 0.500 0.710 0.710
Cd 0.500 0.000 0.290
Cd 0.000 0.208 0.208
Cd 0.000 0.792 0.000
Cd 0.500 0.290 0.000
Cd 0.000 0.000 0.792

For the formation energy, the calculation gives -0.196 eV per atom. The density of states at the Fermi level comes out at 3.9 states/eV/cell. The calculation puts the total magnetization at 0.00 μB per formula unit. As for the symmetry: P-62m. As for the energy: -1.906 eV/atom.


Entry 1:
DFT (PBE-GGA) results for a relaxed structure of CdPCl.

Unit cell a=4.357 b=4.357 c=4.601 alpha=90.00 beta=90.00 gamma=120.00
Sites, in units of the cell vectors:
Cd  0.000  0.000  0.000
P  0.333  0.667  0.977
Cl  0.667  0.333  0.482

The calculation puts the electronic total energy at -2.460 eV/atom. Its crystal system is trigonal. The value obtained for the magnetization is 0.28 μB per formula unit. As for the formation energy from raw total energies: 0.26 eV per atom.

Entry 2:
DFT (PBE-GGA) results for a relaxed structure of Ca2CdCuN.

Unit cell a=5.670 b=5.670 c=4.640 alpha=90.00 beta=90.00 gamma=90.00
Sites, in units of the cell vectors:
Ca  0.000  0.500  0.000
Ca  0.500  0.000  0.000
Cd  0.000  0.000  0.000
Cu  0.000  0.000  0.500
N  0.500  0.500  0.500

The calculation puts the electronic total energy at -2.352 eV/atom. Its crystal system is tetragonal. The value obtained for the magnetization is 0.00 μB per formula unit. As for the formation energy from raw total energies: 1.12 eV per atom.

Entry 3:
DFT (PBE-GGA) results for a relaxed structure of LaDyCd.

Unit cell a=5.353 b=5.353 c=3.648 alpha=90.00 beta=90.00 gamma=120.00
Sites, in units of the cell vectors:
La  0.000  0.000  0.000
Dy  0.333  0.667  0.571
Cd  0.667  0.333  0.384

The calculation puts the formation energy at -0.085 eV per atom. The calculation puts the electronic total energy at -3.567 eV/atom. Its crystal system is trigonal. The value obtained for the magnetization is 0.00 μB per formula unit.

Entry 4:
DFT (PBE-GGA) results for a relaxed structure of Tl3AsS4.
-- stop --
Quote the material earlier on unchanged.
# PuIn4Hg7 | Alexandria | PBE-GGA | optimized geometry
data_PuIn4Hg7
_chemical_formula_sum 'Pu2 In8 Hg14'
_symmetry_space_group_name_H-M 'C 1 2/m 1'
_symmetry_Int_Tables_number 12
_cell_length_a 12.917
_cell_length_b 6.169
_cell_length_c 9.509
_cell_angle_alpha 90.00
_cell_angle_beta 119.95
_cell_angle_gamma 90.00
loop_
_symmetry_equiv_pos_as_xyz
'x,y,z'
'-x,-y,-z'
'-x,y,-z'
'x,-y,z'
'x+1/2,y+1/2,z'
'-x+1/2,-y+1/2,-z'
'-x+1/2,y+1/2,-z'
'x+1/2,-y+1/2,z'
loop_
_atom_site_label
_atom_site_fract_x
_atom_site_fract_y
_atom_site_fract_z
Pu1 0.000 0.000 0.000
In1 0.003 0.500 0.333
In2 0.247 0.000 0.670
Hg1 0.000 0.500 0.000
Hg2 0.001 0.000 0.338
Hg3 0.245 0.500 0.660
Hg4 0.248 0.500 0.995
# magnetic moment = 0.526 μB/atom
# calculated total energy = -0.083 Ha/atom
# formation enthalpy at 0 K = 20 meV/atom
# energy above the lowest structure with this stoichiometry = 47.9 meV per atom


# 1
The following is a GGA-PBE calculation of a relaxed structure of Pm2Zn2Cd, from the Alexandria database.

Unit cell a=3.702 b=4.535 c=7.565 alpha=107.44 beta=90.00 gamma=90.00
Site moments in Bohr magnetons follow the coordinates.
Fractional positions:
Pm 0.500 0.627 0.253  0.17
Pm 0.500 0.373 0.747  0.17
Zn 0.000 0.202 0.403  0.03
Zn 0.000 0.798 0.597  0.03
Cd 0.000 0.000 0.000  0.01

For the formation energy, the calculation gives -0.322 eV per atom. The density of states at the Fermi level comes out at 5.9 states/eV/cell. As for the energy above the lowest structure with this stoichiometry: 0 meV/atom. The calculation puts the total magnetization at 0.82 μB per formula unit. As for the symmetry: Cmmm. As for the energy: -2.915 eV/atom.

---

# 2
The following is a GGA-PBE calculation of a relaxed structure of Pm2Zn3Cd6, from the Alexandria database.

Unit cell a=4.457 b=8.100 c=8.100 alpha=120.00 beta=90.00 gamma=90.00
Fractional positions:
Pm 0.000 0.667 0.333
Pm 0.000 0.333 0.667
Zn 0.500 0.390 0.390
Zn 0.500 0.610 0.000
Zn 0.500 0.000 0.610
Cd 0.500 0.710 0.710
Cd 0.500 0.000 0.290
Cd 0.000 0.208 0.208
Cd 0.000 0.792 0.000
Cd 0.500 0.290 0.000
Cd 0.000 0.000 0.792

For the formation energy, the calculation gives -0.196 eV per atom. The density of states at the Fermi level comes out at 3.9 states/eV/cell. The calculation puts the total magnetization at 0.00 μB per formula unit. As for the symmetry: P-62m. As for the energy: -1.906 eV/atom.


Entry 1:
DFT (PBE-GGA) results for a relaxed structure of CdPCl.

Unit cell a=4.357 b=4.357 c=4.601 alpha=90.00 beta=90.00 gamma=120.00
Sites, in units of the cell vectors:
Cd  0.000  0.000  0.000
P  0.333  0.667  0.977
Cl  0.667  0.333  0.482

The calculation puts the electronic total energy at -2.460 eV/atom. Its crystal system is trigonal. The value obtained for the magnetization is 0.28 μB per formula unit. As for the formation energy from raw total energies: 0.26 eV per atom.

Entry 2:
DFT (PBE-GGA) results for a relaxed structure of Ca2CdCuN.

Unit cell a=5.670 b=5.670 c=4.640 alpha=90.00 beta=90.00 gamma=90.00
Sites, in units of the cell vectors:
Ca  0.000  0.500  0.000
Ca  0.500  0.000  0.000
Cd  0.000  0.000  0.000
Cu  0.000  0.000  0.500
N  0.500  0.500  0.500

The calculation puts the electronic total energy at -2.352 eV/atom. Its crystal system is tetragonal. The value obtained for the magnetization is 0.00 μB per formula unit. As for the formation energy from raw total energies: 1.12 eV per atom.

Entry 3:
DFT (PBE-GGA) results for a relaxed structure of LaDyCd.

Unit cell a=5.353 b=5.353 c=3.648 alpha=90.00 beta=90.00 gamma=120.00
Sites, in units of the cell vectors:
La  0.000  0.000  0.000
Dy  0.333  0.667  0.571
Cd  0.667  0.333  0.384

The calculation puts the formation energy at -0.085 eV per atom. The calculation puts the electronic total energy at -3.567 eV/atom. Its crystal system is trigonal. The value obtained for the magnetization is 0.00 μB per formula unit.

Entry 4:
DFT (PBE-GGA) results for a relaxed structure of Tl3AsS4.